Excerpt.
........
Here is an optimized crystal structure of CsLiSc2H from Alexandria. Energies are from PBE.

a b c (Å): 4.5163 4.5163 6.1418
angles (deg): 90.00 90.00 90.00
Closest atoms and distances in Å follow each position.
Space group P4/mmm (No. 123)
Inequivalent atoms, fractional coordinates:
Cs: 0.0000 0.0000 0.0000 x1  2 H 3.07, 4 Li 3.19
Li: 0.5000 0.5000 0.0000 x1  4 Cs 3.19
Sc: 0.0000 0.5000 0.5000 x2  2 H 2.26
H: 0.0000 0.0000 0.5000 x1  4 Sc 2.26



Here is an optimized crystal structure of Sr2PtCSe from Alexandria. Energies are from PBE.

a b c (Å): 5.4151 5.4151 4.0125
angles (deg): 90.00 90.00 90.00
Closest atoms and distances in Å follow each position.
Space group P4/mmm (No. 123)
Inequivalent atoms, fractional coordinates:
Sr: 0.0000 0.5000 0.0000 x2  2 C 2.71
Pt: 0.0000 0.0000 0.5000 x1  8 Sr 3.37
C: 0.5000 0.5000 0.0000 x1  2 Se 2.01
Se: 0.5000 0.5000 0.5000 x1  2 C 2.01

Output
- Uncorrected formation energy: -0.111 eV/f.u.



Here is an optimized crystal structure of Ce2CdHg4 from Alexandria. Energies are from PBE.

a b c (Å): 5.3184 5.3184 16.0645
angles (deg): 90.00 90.00 90.00
Closest atoms and distances in Å follow each position.
Space group I4/mmm (No. 139)
Inequivalent atoms, fractional coordinates:
Ce: 0.0000 0.0000 0.1219 x4  5 Hg 3.12-3.30
Cd: 0.0000 0.0000 0.5000 x2  6 Hg 2.66-2.96
Hg: 0.0000 0.0000 0.3160 x4  1 Cd 2.96, 1 Ce 3.12
Hg: 0.0000 0.5000 0.0000 x4  2 Cd 2.66

Output
- ΔE to the lowest computed polymorph: 2.30 eV/f.u.



Here is an optimized crystal structure of Ho3TlPb2 from Alexandria. Energies are from PBE.

a b c (Å): 12.7687 4.7298 11.4367
angles (deg): 90.00 90.00 90.00
Closest atoms and distances in Å follow each position.
Space group Pnma (No. 62)
Inequivalent atoms, fractional coordinates:
Ho: 0.0264 0.2500 0.1221 x4  1 Tl 3.07, 5 Pb 3.18-3.41
Ho: 0.1435 0.7500 0.5800 x4  5 Pb 3.17-3.31
Ho: 0.1909 0.2500 0.8258 x4  2 Tl 3.04, 1 Pb 3.10
Tl: 0.1610 0.2500 0.3442 x4  3 Ho 3.04-3.07, 3 Pb 3.09-3.10
Pb: 0.0039 0.7500 0.3359 x4  6 Ho 3.10-3.41, 2 Tl 3.10
Pb: 0.1788 0.7500 0.0470 x4  1 Tl 3.09, 5 Ho 3.18-3.30

Output
- ΔE to the lowest computed polymorph: 0.34 eV/f.u.



| no. | final energy (eV/atom) |
| --- | --- |
| 1 | -3.372 |
| 2 | -4.445 |
| 3 | -1.896 |
| 4 | -4.245 |

* * * * *

1.
The following is a PBE calculation of a geometry-optimized La2CdAu2 structure, from the Alexandria database.

Summary:
* calculated formation energy: -0.518 eV per atom

a = 5.789 Å, b = 5.789 Å, c = 8.861 Å
α = 90.00°, β = 90.00°, γ = 90.00°
Space group I4/mmm (No. 139)
Asymmetric unit:
La1 0.000 0.500 0.250 [4 per cell]
Cd1 0.000 0.000 0.000 [2 per cell]
Au1 0.000 0.000 0.352 [4 per cell]

---

2.
The following is a PBE calculation of a geometry-optimized UGa3Cu structure, from the Alexandria database.

Summary:
* calculated formation energy: -0.146 eV per atom

a = 11.231 Å, b = 4.163 Å, c = 4.163 Å
α = 90.00°, β = 111.74°, γ = 90.00°
Space group Cm (No. 8)
Asymmetric unit:
U1 0.000 0.000 0.000 [2 per cell]
Ga1 0.093 0.500 0.594 [2 per cell]
Ga2 0.249 0.000 0.748 [2 per cell]
Ga3 0.249 0.500 0.249 [2 per cell]
Cu1 0.369 0.000 0.368 [2 per cell]

---

3.
The following is a PBE calculation of a geometry-optimized La2SmCoAu structure, from the Alexandria database.

Summary:
* calculated formation energy: -0.207 eV per atom

a = 5.207 Å, b = 5.207 Å, c = 5.459 Å
α = 90.00°, β = 90.00°, γ = 90.00°
Space group P4mm (No. 99)
Asymmetric unit:
La1 0.000 0.500 0.000 [2 per cell]
Sm1 0.000 0.000 0.523 [1 per cell]
Co1 0.000 0.000 0.032 [1 per cell]
Au1 0.500 0.500 0.626 [1 per cell]

---

4.
The following is a PBE calculation of a geometry-optimized Pm4Y3Pu structure, from the Alexandria database.

Summary:
* calculated formation energy: 0.149 eV per atom

a = 3.482 Å, b = 11.692 Å, c = 12.954 Å
α = 90.00°, β = 90.00°, γ = 90.00°
Space group Immm (No. 71)
Asymmetric unit:
Pm1 0.000 0.248 0.131 [8 per cell]
Y1 0.000 0.000 0.500 [2 per cell]
Y2 0.000 0.500 0.265 [4 per cell]
Pu1 0.000 0.000 0.000 [2 per cell]

---

5.
........

Work order.
Next, count the lines further above that contain the word "Hg" and give the number alone.

Written answer.
4